Wednesday, February 19, 2014

Links To Two Editorials In The Casper Star-Tribune

 SEVERAL WEEKS AGO, I flew to Denver from Nashville, then drove to Laramie to attend author Stephen Jimenez's book presentation to the town of Laramie on The Book of Matt which elaborates on his 13-year investigation into the murder of Matthew Shepard, a gay college student  outside Laramie, Wyoming.  I had written a book review on The Book of Matt late last fall for PJMedia.

Anyway,  it was a sensational presentation which was also very well received by townspeople, though the University of Wyoming, now the bastion of political correctness and suppression of open discussions like this, washed its hands of the event (though a few students and college  professors did attend.)

The next day, the Casper Star-Tribune published a scathing, dismissive editorial---Ditch the Matthew Shepard Revisionist History--- essentially advising readers that the book was not worth anyone's time or effort.

When I got back to Boulder, I talked to Steve who was back in Denver doing a radio interview and on his way to Manhattan,. We decided I would contact the CST and let them know I would like to write a rebuttal of its extremely harsh editorial and wanted to know my options as a journalist.  Was  in transit back to Tennessee and couldn't start to work on the piece immediately. The Op/Ed editor there told me I might get a 750-word limit op/ed and that was the max I could hope for, if even that.  Casper is the hometown the Shepard family and the place where opposing opinions to the conventional Shepard hate-crime myth of the past 14 years are still scoffed at today. It's also where the hate crime myth got started through Jason Marsden, a reporter at the CST at the time of the murder, and now head of the Matthew Shepard Foundation in Denver.

### Crystal structures from another source follow
/*
VASP calculation (r²SCAN) on a relaxed structure of LaSn.

Properties
Final energy ... -225.37 eV per cell
E_form ... -0.926 eV/atom

```
data_LaSn
_chemical_formula_sum 'La4 Sn4'
_cell_length_a 4.8409
_cell_length_b 11.9914
_cell_length_c 4.4461
_cell_angle_alpha 90.00
_cell_angle_beta 90.00
_cell_angle_gamma 90.00
_symmetry_space_group_name_H-M 'C m c m'
_symmetry_Int_Tables_number 63
_symmetry_space_group_name_Hall '-C 2c 2'
loop_
_atom_site_label
_atom_site_type_symbol
_atom_site_fract_x
_atom_site_fract_y
_atom_site_fract_z
La1 La 0.0000 0.1362 0.2500
Sn1 Sn 0.0000 0.4135 0.2500
```

=====

VASP calculation (r²SCAN) on a relaxed structure of Eu2SbAu.

Properties
Final energy ... -630.63 eV per cell
E_form ... -1.081 eV/atom

```
data_Eu2SbAu
_chemical_formula_sum 'Eu8 Sb4 Au4'
_cell_length_a 7.7126
_cell_length_b 7.7126
_cell_length_c 7.7126
_cell_angle_alpha 90.00
_cell_angle_beta 90.00
_cell_angle_gamma 90.00
_symmetry_space_group_name_H-M 'F m -3 m'
_symmetry_Int_Tables_number 225
_symmetry_space_group_name_Hall '-F 4 2 3'
loop_
_atom_site_label
_atom_site_type_symbol
_atom_site_fract_x
_atom_site_fract_y
_atom_site_fract_z
Eu1 Eu 0.2500 0.2500 0.2500
Sb1 Sb 0.0000 0.0000 0.0000
Au1 Au 0.0000 0.0000 0.5000
```

=====

VASP calculation (r²SCAN) on a relaxed structure of ErMgAg.

Properties
Final energy ... -180.78 eV per cell
E_form ... -0.269 eV/atom

```
data_ErMgAg
_chemical_formula_sum 'Er3 Mg3 Ag3'
_cell_length_a 7.4952
_cell_length_b 7.4952
_cell_length_c 4.2026
_cell_angle_alpha 90.00
_cell_angle_beta 90.00
_cell_angle_gamma 120.00
_symmetry_space_group_name_H-M 'P -6 2 m'
_symmetry_Int_Tables_number 189
_symmetry_space_group_name_Hall 'P -6 -2'
loop_
_atom_site_label
_atom_site_type_symbol
_atom_site_fract_x
_atom_site_fract_y
_atom_site_fract_z
Er1 Er 0.0000 0.5859 0.0000
Mg1 Mg 0.0000 0.2431 0.5000
Ag1 Ag 0.0000 0.0000 0.0000
Ag2 Ag 0.3333 0.6667 0.5000
```

=====

| no. | size of the total moment (μB per cell) |
| --- | --- |
| 1 | 0.00 |
| 2 | 56.00 |
| 3 | 0.00 |

=====

1.
The following is a PBE calculation of crystalline KCdP3O9 at its relaxed geometry, from Materials Project.

Cell: 6.9020 6.9020 10.3405 Å, 90.00 90.00 120.00°
Closest atoms and distances in Å follow each position.
Fractional coordinates of all 28 atoms:
K 0.0000 0.0000 0.0000  6 O 2.85
K 0.0000 0.0000 0.5000  6 O 2.85
Cd 0.6667 0.3333 0.0000  6 O 2.30
Cd 0.6667 0.3333 0.5000  6 O 2.30
P 0.0623 0.4417 0.2500  4 O 1.50-1.62
P 0.0623 0.6207 0.7500  4 O 1.50-1.62
P 0.3793 0.4417 0.7500  4 O 1.50-1.62
P 0.3793 0.9377 0.2500  4 O 1.50-1.62
P 0.5583 0.6207 0.2500  4 O 1.50-1.62
P 0.5583 0.9377 0.7500  4 O 1.50-1.62
O 0.1428 0.4377 0.7500  2 P 1.61-1.62
O 0.1428 0.7051 0.2500  2 P 1.61-1.62
O 0.2949 0.4377 0.2500  2 P 1.61-1.62
O 0.2949 0.8572 0.7500  2 P 1.61-1.62
O 0.3927 0.0547 0.1249  1 P 1.50
O 0.3927 0.0547 0.3751  1 P 1.50
O 0.3927 0.3380 0.6249  1 P 1.50
O 0.3927 0.3380 0.8751  1 P 1.50
O 0.5623 0.7051 0.7500  2 P 1.61-1.62
*/

Anyway,  last weekend, much to CST's credit,  my piece came out on the CST Op/Ed page.

I believe it's important for First Amendment enterprises such as the Casper Star-Tribune (and also the University of Wyoming, another politically-correct hard nut-to-crack) to have open discussions like this so people can make up their own minds.  The Mainstream Media (MSM) has gone way too far down the road of politicizing news stories and letting extreme and radical groups hijack narratives such as this---incorrectly. So I commend the CST for doing its First Amendment duty and only hope some good will come from all this. Thanks go to Jeremy Fugleberg head of Op/Ed who held his nose and published my piece.

**What comes next are crystal structures, not part of the article:**
<<<
# 1
# TmGaNi2

A relaxed structure of TmGaNi2 (PBE, the Materials Project database).

abc: 4.399 4.399 4.399
angles: 60.00 60.00 60.00
Positions (direct):
Tm 0.000 0.000 0.000
Ga 0.500 0.500 0.500
Ni 0.250 0.250 0.250
Ni 0.750 0.750 0.750

Summary:
The calculation puts the formation enthalpy at 0 K at -0.4774 eV/atom. The volume comes out at 60.2 Å³ per cell. As for the energy: -5.243 eV/atom.

=====

# 2
# Dy2Ti12Cu9O36

A relaxed structure of Dy2Ti12Cu9O36 (PBE, the Materials Project database).

abc: 10.521 10.521 6.462
angles: 90.00 90.00 120.00
Positions (direct):
Dy 0.333 0.667 0.329
Dy 0.667 0.333 0.671
Ti 0.000 0.000 0.500
Ti 0.000 0.500 0.500
Ti 0.158 0.319 0.163
Ti 0.161 0.842 0.163
Ti 0.319 0.161 0.837
Ti 0.333 0.667 0.841
Ti 0.500 0.000 0.500
Ti 0.500 0.500 0.500
Ti 0.667 0.333 0.159
Ti 0.681 0.839 0.163
Ti 0.839 0.158 0.837
Ti 0.842 0.681 0.837
Cu 0.000 0.500 0.000
Cu 0.168 0.831 0.662
Cu 0.169 0.337 0.662
Cu 0.337 0.168 0.338
Cu 0.500 0.000 0.000
Cu 0.500 0.500 0.000
Cu 0.663 0.832 0.662
Cu 0.831 0.663 0.338
Cu 0.832 0.169 0.338
O 0.017 0.165 0.330
O 0.045 0.270 0.911
O 0.077 0.451 0.251
O 0.118 0.707 0.413
O 0.148 0.983 0.330
O 0.165 0.148 0.670
O 0.177 0.527 0.646
O 0.193 0.683 0.018
O 0.225 0.955 0.911
O 0.270 0.225 0.089
O 0.293 0.411 0.413
O 0.317 0.510 0.018
O 0.350 0.823 0.646
O 0.374 0.923 0.251
O 0.411 0.118 0.587
O 0.451 0.374 0.749
O 0.473 0.650 0.646
O 0.490 0.807 0.018
O 0.510 0.193 0.982
O 0.527 0.350 0.354
O 0.549 0.626 0.251
O 0.589 0.882 0.413
O 0.626 0.077 0.749
O 0.650 0.177 0.354
O 0.683 0.490 0.982
O 0.707 0.589 0.587
O 0.730 0.775 0.911
O 0.775 0.045 0.089
O 0.807 0.317 0.982
O 0.823 0.473 0.354
O 0.835 0.852 0.330
O 0.852 0.017 0.670
O 0.882 0.293 0.587
O 0.923 0.549 0.749
O 0.955 0.730 0.089
O 0.983 0.835 0.670

Summary:
The calculation puts the formation enthalpy at 0 K at -2.7202 eV/atom. The volume comes out at 619.4 Å³ per cell. As for the energy: -7.707 eV/atom.

=====

# 3
# SnHgO3

A relaxed structure of SnHgO3 (PBE, the Materials Project database).

abc: 4.081 4.081 4.081
angles: 90.00 90.00 90.00
Positions (direct):
Sn 0.000 0.000 0.000
Hg 0.500 0.500 0.500
O 0.000 0.000 0.500
O 0.000 0.500 0.000
O 0.500 0.000 0.000

Summary:
The calculation puts the formation enthalpy at 0 K at -1.1809 eV/atom. The volume comes out at 68.0 Å³ per cell. As for the energy: -4.600 eV/atom.

=====

# 4
# CaMnFeGe2

A relaxed structure of CaMnFeGe2 (PBE, the Materials Project database).

abc: 6.201 6.201 6.201
angles: 142.98 142.98 53.35
Positions (direct):
Ca 0.000 0.000 0.000
Mn 0.250 0.750 0.500
Fe 0.750 0.250 0.500
Ge 0.378 0.378 0.000
Ge 0.622 0.622 0.000

Summary:
The calculation puts the formation enthalpy at 0 K at -0.3419 eV/atom. The volume comes out at 85.9 Å³ per cell. As for the energy: -6.119 eV/atom.

=====

# 5
# Pr3CuSnS7

A relaxed structure of Pr3CuSnS7 (PBE, the Materials Project database).

abc: 10.228 10.228 6.142
angles: 90.00 90.00 120.00
Positions (direct):
Pr 0.139 0.782 0.000
>>>

One other thing:  I'm sure you must know there are deeper reasons for going to all the trouble to defend this book.  I'm not going to elaborate on it here, now.  But if you do read Jimenez's The Book of Matt,  which I highly recommend, you will understand.

Also,  when the radical  gay lobby attacks Jimenez, a gay journalist himself, with such nonsense as he's only trying to make a quick buck---after 13 years of investigation??!!---on Shepard's murder,  all I can do is shake my head in disbelief.  Judy Shepard also wrote a book and established a foundation which has made millions and paid her large salaries for years, in addition to juicy speaking fees. There's no telling what The Laramie Project has raked in over the years.  Such glaring hypocrisy from the extreme left is ridiculous in my opinion and needs to be stood up to and debunked.  JImenez has dared to tell the truth and now is taking the heat for it.  That's what real journalism is and what it does. And that's why we have the First Amendment.


  1. Good to see that investigative journalism is alive and well, if not in the msm, the blogosphere. Keep
    up the good work.

  2. Thank you, 2E! Looking forward to seeing you soon!

_What comes next are crystal structures, not part of the entry_
=====
1.
# MgSiO3

A relaxed MgSiO3 crystal (PBE, the Materials Project).

Computed properties:
**Energy relative to the elements**: -3229 meV/atom
**Corrected total energy (MP2020 scheme)**: -7.603 eV per atom

a = 9.3661 Å, b = 8.8587 Å, c = 5.3800 Å
α = 90.00°, β = 90.00°, γ = 90.00°
With the nearest neighbours (Å) after each atom.
Fractional coordinates of all 40 atoms:
Mg  0.0000  0.0982  0.2500  6 O 2.03-2.23
Mg  0.0000  0.2619  0.7500  4 O 2.06-2.07
Mg  0.0000  0.7381  0.2500  4 O 2.06-2.07
Mg  0.0000  0.9018  0.7500  6 O 2.03-2.23
Mg  0.5000  0.2381  0.2500  4 O 2.06-2.07
Mg  0.5000  0.4018  0.7500  6 O 2.03-2.23
Mg  0.5000  0.5982  0.2500  6 O 2.03-2.23
Mg  0.5000  0.7619  0.7500  4 O 2.06-2.07
Si  0.2080  0.4093  0.0644  4 O 1.61-1.68
Si  0.2080  0.5907  0.5644  4 O 1.61-1.68
Si  0.2920  0.0907  0.5644  4 O 1.61-1.68
Si  0.2920  0.9093  0.0644  4 O 1.61-1.68
Si  0.7080  0.0907  0.9356  4 O 1.61-1.68
Si  0.7080  0.9093  0.4356  4 O 1.61-1.68
Si  0.7920  0.4093  0.4356  4 O 1.61-1.68
Si  0.7920  0.5907  0.9356  4 O 1.61-1.68
O  0.1180  0.0939  0.5771  1 Si 1.63
O  0.1180  0.9061  0.0771  1 Si 1.63
O  0.1219  0.2524  0.0681  1 Si 1.61
O  0.1219  0.7476  0.5681  1 Si 1.61
O  0.1515  0.4748  0.7876  2 Si 1.67-1.68
O  0.1515  0.5252  0.2876  2 Si 1.67-1.68
O  0.3485  0.0252  0.2876  2 Si 1.67-1.68
O  0.3485  0.9748  0.7876  2 Si 1.67-1.68
O  0.3781  0.2476  0.5681  1 Si 1.61
O  0.3781  0.7524  0.0681  1 Si 1.61
O  0.3820  0.4061  0.0771  1 Si 1.63
O  0.3820  0.5939  0.5771  1 Si 1.63
O  0.6180  0.4061  0.4229  1 Si 1.63
O  0.6180  0.5939  0.9229  1 Si 1.63
O  0.6219  0.2476  0.9319  1 Si 1.61
O  0.6219  0.7524  0.4319  1 Si 1.61
O  0.6515  0.0252  0.2124  2 Si 1.67-1.68
O  0.6515  0.9748  0.7124  2 Si 1.67-1.68
O  0.8485  0.4748  0.7124  2 Si 1.67-1.68
O  0.8485  0.5252  0.2124  2 Si 1.67-1.68
O  0.8781  0.2524  0.4319  1 Si 1.61
O  0.8781  0.7476  0.9319  1 Si 1.61
O  0.8820  0.0939  0.9229  1 Si 1.63
O  0.8820  0.9061  0.4229  1 Si 1.63

2.
# MgSiO3

A relaxed MgSiO3 crystal (PBE, the Materials Project).

Computed properties:
**Energy relative to the elements**: -3227 meV/atom
**Corrected total energy (MP2020 scheme)**: -7.600 eV per atom
**Total magnetization**: 0.00 μB per cell

a = 18.6414 Å, b = 8.9000 Å, c = 5.3525 Å
α = 90.00°, β = 91.20°, γ = 90.00°
With the nearest neighbours (Å) after each atom.
Fractional coordinates of all 80 atoms:
Mg  0.0000  0.0966  0.2500  6 O 2.03-2.20
Mg  0.0000  0.2610  0.7500  4 O 2.06-2.08
Mg  0.0000  0.7390  0.2500  4 O 2.06-2.08
Mg  0.0000  0.9034  0.7500  6 O 2.03-2.20
Mg  0.2479  0.2420  0.2767  4 O 2.02-2.06
Mg  0.2479  0.7580  0.7767  4 O 2.02-2.06
Mg  0.2505  0.4009  0.7774  6 O 2.03-2.24
Mg  0.2505  0.5991  0.2774  6 O 2.03-2.24
Mg  0.5000  0.1001  0.2500  6 O 2.04-2.24
Mg  0.5000  0.2574  0.7500  4 O 2.03-2.06
Mg  0.5000  0.7426  0.2500  4 O 2.03-2.06
Mg  0.5000  0.8999  0.7500  6 O 2.04-2.24
Mg  0.7495  0.4009  0.7226  6 O 2.03-2.24
Mg  0.7495  0.5991  0.2226  6 O 2.03-2.24
=====

  3. Thank you! Linked to you here:

  4. Thank you! Linked to you here:
